Welcome to the NOISE lab in University of Washington, Seattle.

Inserted here: calculated crystals:
Computed powder diffractogram of Fe2SnP3O12 for CuKα, from a DFT-relaxed cell (PBE+U, Alexandria).
Peak positions follow from Bragg's law for the DFT cell and can differ from measured ones.

a = 8.6824 Å, b = 8.6824 Å, c = 21.6800 Å
α = 90.00°, β = 90.00°, γ = 120.00°
Space group R-3c (No. 167, hexagonal axes)
Symmetry-distinct sites (fractional):
Fe 0.0000 0.0000 0.1482 (multiplicity 12)
Sn 0.0000 0.0000 0.0000 (multiplicity 6)
P 0.0000 0.2915 0.2500 (multiplicity 18)
O 0.0018 0.1976 0.1908 (multiplicity 36)
O 0.0185 0.1835 0.9196 (multiplicity 36)

Main lines, by angle (10° ≤ 2θ ≤ 90°):
- 2θ = 14.34°, d 6.178, rel. 19, hkl 0 1 2
- 2θ = 20.46°, d 4.341, rel. 100, hkl 1 1 0
- 2θ = 23.91°, d 3.721, rel. 59, hkl 1 1 3
- 2θ = 25.07°, d 3.552, rel. 26, hkl 2 0 2
- 2θ = 32.23°, d 2.777, rel. 91, hkl 1 1 6
- 2θ = 32.57°, d 2.749, rel. 16, hkl 1 2 2
- 2θ = 35.83°, d 2.506, rel. 39, hkl 3 0 0
- 2θ = 43.97°, d 2.059, rel. 17, hkl 3 0 6
- 2θ = 46.29°, d 1.961, rel. 28, hkl 1 2 8
- 2θ = 48.95°, d 1.861, rel. 34, hkl 2 2 6
- 2θ = 56.05°, d 1.641, rel. 25, hkl 4 1 0
- 2θ = 62.13°, d 1.494, rel. 26, hkl 4 1 6


Simulated powder diffraction line list of Fe3Cl for copper Kα, from a structure optimized by DFT (PBE).

Atomic structure:
abc: 3.0430 2.9253 6.6660
angles: 90.00 90.10 90.00
Sites, in units of the cell vectors:
Fe 0.0000 0.0000 0.0000
Fe 0.4991 0.5000 0.7994
Fe 0.5009 0.5000 0.2006
Cl 0.5000 0.0000 0.5000

Largest 10 diffraction maxima, by intensity, 2θ from 5° to 70°:
2theta, d [Å], I (rel.)
41.05, 2.199, 100
13.28, 6.666, 80
45.09, 2.011, 70
50.88, 1.795, 50
42.88, 2.109, 50
40.13, 2.247, 43
29.35, 3.043, 33
51.66, 1.769, 19
32.34, 2.768, 19
60.89, 1.521, 17

Simulated powder diffraction line list of Mg16Zn12Pd for copper Kα, from a structure optimized by DFT (PBE).

Atomic structure:
abc: 8.6193 8.6193 8.6992
angles: 107.29 107.29 107.24
Sites, in units of the cell vectors:
Mg 0.0000 0.0000 0.0000
Mg 0.0014 0.6320 0.0059
Mg 0.0119 0.6704 0.4212
Mg 0.0151 0.4070 0.6743
Mg 0.0230 0.0230 0.6451
Mg 0.3071 0.3071 0.3046
Mg 0.3128 0.7009 0.3171
Mg 0.3412 0.6003 0.6231
Mg 0.4070 0.0151 0.6743
Mg 0.4130 0.6500 0.0026
Mg 0.6003 0.3412 0.6231
Mg 0.6271 0.6271 0.3511
Mg 0.6320 0.0014 0.0059
Mg 0.6500 0.4130 0.0026
Mg 0.6704 0.0119 0.4212
Mg 0.7009 0.3128 0.3171
Zn 0.1663 0.3516 0.9820
Zn 0.1764 0.9882 0.3625
Zn 0.2032 0.8100 0.8188
Zn 0.3516 0.1663 0.9820
Zn 0.3574 0.9752 0.1702
Zn 0.6664 0.8615 0.6720
Zn 0.6763 0.6763 0.8676
Zn 0.8100 0.2032 0.8188
Zn 0.8210 0.8210 0.2069
Zn 0.8615 0.6664 0.6720
Zn 0.9752 0.3574 0.1702
Zn 0.9882 0.1764 0.3625
Pd 0.3165 0.3165 0.7146

Largest 10 diffraction maxima, by intensity, 2θ from 5° to 70°:
2theta, d [Å], I (rel.)
37.66, 2.388, 100
38.51, 2.338, 99
42.12, 2.145, 79
22.15, 4.013, 51
38.45, 2.341, 49
37.42, 2.403, 49
21.67, 4.101, 48
40.62, 2.221, 42
41.69, 2.167, 40
20.03, 4.434, 39


Structure and computed powder diffraction line list of Pu2SiBr (a cell relaxed with GGA-PBE; λ = 1.5418 Å (Cu Kα)).

Any technological advancement relies on the synergy of fundamental physics and intelligent engineering. For example, the unprecedented success of information technology in the last century, is fuelled by several physics-Nobel-prize winning discoveries, including, transistors, integrated circuits, lasers and fiber-optics. In Integrated Quantum Optoelectronics lab, we study light-matter interaction, which lies at this intersection between physics and electrical engineering.

The fundamental question in optoelectronics is: how to change amplitude, phase and frequency of light, with lower energy, faster speed, smaller size and reduced cost. The solution of this problem is given by efficient engineering of the light-matter interaction. By confining light to a small volume for a long time, scientists have demonstrated light-matter interaction at the most fundamental level enabling single-photon, single atom or single quantum dot (the smallest man-made atom like object) devices. Although unprecedented performances have been demonstrated with these stand-alone devices, unfortunately, no scalable system can be built with them.

In our research, we focus on the scalability issue of these low energy optoelectronic devices. More specifically, our research aims to answer:

  • How to make a scalable nanophotonic system (by exploring new materials and novel nanophotonic devices)? Two major challenges for realizing such systems are: weak optical nonlinearity and inherent disorder present in the nano-photonic devices. Hence, we work on cavity enhanced nonlinear optics with 2D materials, as well as, reconfigurable optics design to circumvent the effects of the disorder. Our ultimate goal is to realize single photon nonlinearity using cavity coupled 2D materials, and developing a chip-scale adaptive optics platform.
  • What new applications emerge with development of the scalable optoelectronic systems? A scalable low energy optolectronic system is known to be beneficial for digital optical computing and communication. However, there may be other regimes of optical computing, where the nanophotonic system will be more suitable, like neuromorphic optical computing. Apart from that, these systems can be useful for new class of optical imager, sensors; 3D display technology. With efficient engineering we want to push the energy required in these optoelectronic devices to few photons level, where quantum effects start appearing, and hence these devices can potentially be useful for quantum information science and quantum simulation.

Any student (undergraduate or graduate) interested in my research should contact me at arka@uw.edu. (Job_AD)

**Materials data, kept here for reference:**
........
Structure and simulated X-ray diffraction stick pattern of ErCuSnSe3 (a DFT-relaxed cell (PBE, OQMD); copper Kα).
Peak positions follow from Bragg's law for the DFT cell and can differ from measured ones.

The 10 most intense peaks (10° ≤ 2θ ≤ 90°), low angle first:
2θ/deg	Rel. int.
12.89	51
28.34	30
32.25	100
32.79	57
35.74	62
36.02	34
36.62	30
40.86	24
45.47	30
45.57	40

Crystal structure
Unit cell a=7.807 b=3.981 c=9.825 alpha=90.00 beta=105.96 gamma=90.00
Space group P2_1/m (No. 11)
Inequivalent atoms, fractional coordinates:
Er 0.188 0.250 0.162 (multiplicity 2)
Cu 0.423 0.750 0.413 (multiplicity 2)
Sn 0.263 0.750 0.698 (multiplicity 2)
Se 0.077 0.250 0.859 (multiplicity 2)
Se 0.243 0.250 0.459 (multiplicity 2)
Se 0.447 0.750 0.167 (multiplicity 2)

~~~~~

Record 1
For Li4Mn3Ni3O12, a structure optimized by DFT (PBE+U) gives the computed XRD peak list in this record (λ = 1.5418 Å (Cu Kα)).
No peak broadening, texture or thermal motion is included.

Structural model:
```
data_Li4Mn3Ni3O12
_chemical_formula_sum 'Li4 Mn3 Ni3 O12'
_symmetry_space_group_name_H-M 'P -1'
_symmetry_Int_Tables_number 2
_symmetry_space_group_name_Hall '-P 1'
_cell_length_a 5.860
_cell_length_b 5.940
_cell_length_c 6.534
_cell_angle_alpha 104.07
_cell_angle_beta 102.80
_cell_angle_gamma 91.65
loop_
_atom_site_label
_atom_site_type_symbol
_atom_site_fract_x
_atom_site_fract_y
_atom_site_fract_z
Li1 Li 0.000 0.000 0.000
Li2 Li 0.176 0.659 0.654
Li3 Li 0.500 0.000 0.000
Mn1 Mn 0.164 0.172 0.660
Mn2 Mn 0.500 0.500 0.000
Ni1 Ni 0.000 0.500 0.000
Ni2 Ni 0.337 0.831 0.337
O1 O 0.065 0.069 0.345
O2 O 0.076 0.620 0.331
O3 O 0.254 0.257 0.971
O4 O 0.274 0.735 0.024
O5 O 0.402 0.412 0.690
O6 O 0.403 0.952 0.647
```

Largest 10 diffraction maxima, by angle, 15° ≤ 2θ ≤ 90°:
hkl  2θ/deg  intensity
0 1 -1  18.23  100
-2 1 1  35.58  13
2 1 0  36.45  23
0 2 1  37.82  7
2 -2 0  42.74  21
2 2 -1  44.08  38
0 3 0  47.53  8
2 3 -2  57.87  10
0 4 -1  62.61  10
4 0 -1  63.55  11


Record 2
For CrO2, a structure optimized by DFT (PBE+U) gives the computed XRD peak list in this record (λ = 1.5418 Å (Cu Kα)).
No peak broadening, texture or thermal motion is included.

Structural model:
```
data_CrO2
_chemical_formula_sum 'Cr8 O16'
_symmetry_space_group_name_H-M 'P m m n'
_symmetry_Int_Tables_number 59
_cell_length_a 5.759
_cell_length_b 10.914
_cell_length_c 5.223
_cell_angle_alpha 90.00
_cell_angle_beta 90.00
_cell_angle_gamma 90.00
loop_
_symmetry_equiv_pos_as_xyz
'x,y,z'
'-x,-y,-z'
'-x+1/2,-y+1/2,z'
'x+1/2,y+1/2,-z'
'x+1/2,-y,-z'
'-x+1/2,y,z'
'-x,y+1/2,-z'
'x,-y+1/2,z'
loop_
_atom_site_label
_atom_site_type_symbol
_atom_site_fract_x
_atom_site_fract_y
_atom_site_fract_z
Cr1 Cr 0.000 0.000 0.000
Cr2 Cr 0.250 0.009 0.492
O1 O 0.002 0.588 0.665
O2 O 0.250 0.090 0.837
O3 O 0.250 0.586 0.166
```

Largest 10 diffraction maxima, by angle, 15° ≤ 2θ ≤ 90°:
hkl  2θ/deg  intensity
0 2 0  16.24  100
0 0 2  34.34  4
2 0 1  35.60  7
0 2 2  38.20  10
2 2 1  39.36  17
0 4 2  48.23  8
2 4 1  49.20  15
........

Our research is supported by various federal agencies, industry and foundations:
